Think of the most degrading ethnic slur you have ever heard. We rightly hate that kind of dehumanizing language. It is cruel and bestializing to degrade another person because of his ethnicity or because of her nationality. Unfortunately, that was the way typical Jews and Samaritans in the first century treated each other. In the white heat of their anger in John 8:48, the Jewish leaders challenged Jesus with the burning question, “Aren’t we right in saying that you are a Samaritan and demon-possessed?” As far as they were concerned, Samaria was a country filled with heretics and demons—just the kind of place from which this guy Jesus would have come.
In John 4:9 the Samaritan woman was surprised that Jesus asked her for a drink. You see, a Jewish rabbi had taught that a Jew could never use a bowl used by Samaritan women “because they are menstruants from the cradle.” According to Jewish law, that would make them and everyone with whom they had contact ritually unclean! How could that kind of racial hatred and nationalistic bigotry develop?
The antagonism between the southern kingdom of Judah and the northern kingdom of Israel went all the way back to the division of the kingdom in 975 B.C. After the fall of Samaria (the capital of the northern kingdom) to the Assyrians, that antagonism grew. The Assyrians deported part of the population of what came to be known as the country of Samaria. They also imported conquered people from other areas (2 Kings 17:22–34). Subsequent inter-marriages produced a religion and culture that was a mixture of Old Testament and foreign ideas.
Because they were excluded from worshiping in Jerusalem, the Samaritans built their own temple on Mount Gerizim in the fourth century B.C. Around 167 B.C. the Samaritans escaped the persecution of the conquering Greeks by dedicating their temple to Zeus. Unfortunately for the Samaritans, their Jewish neighbors to the south refused to compromise. When the Jews succeeded in their rebellion, they gained control of Palestine and destroyed the Samaritan temple. After Rome conquered Palestine in 63 B.C., the Jews and Samaritans were both forced to live with the neighbor neither of them wanted.
# Molecular data, kept here for reference
- - -
(1)
The following is a DFT calculation (ωB97M-V/def2-TZVPD) of a 9-piece molecular cluster, C37H71BCl16N overall in a non-equilibrium geometry.

Geometry as XYZ:
```
126
Properties=species:S:1:pos:R:3
C 2.388 8.050 2.365
C 1.339 9.093 2.773
C -0.093 8.630 2.436
C -1.135 8.909 3.525
C -0.861 8.251 4.874
C -1.178 6.736 4.885
C 0.084 5.872 4.972
C -0.093 4.436 4.438
C 0.915 4.140 3.312
C 1.036 2.629 3.062
C 1.519 2.311 1.628
C 2.917 1.642 1.546
C 2.731 0.144 1.224
C 2.379 -0.049 -0.264
C 3.049 -1.272 -0.910
C 2.400 -1.696 -2.233
B 3.431 -2.674 -3.061
C 2.820 -3.233 -4.441
C 1.508 -3.697 -4.569
C 0.990 -4.187 -5.750
N 1.701 -4.298 -6.873
C 2.957 -3.857 -6.774
C 3.548 -3.337 -5.639
H 2.519 8.046 1.282
H 2.087 7.044 2.659
H 3.354 8.279 2.819
H 1.446 9.341 3.830
H 1.569 10.006 2.217
H -0.083 7.568 2.171
H -0.410 9.169 1.540
H -1.186 9.995 3.662
H -2.114 8.604 3.143
H 0.188 8.364 5.158
H -1.436 8.745 5.660
H -1.783 6.453 4.020
H -1.799 6.552 5.770
H 0.842 6.358 4.350
H 0.492 5.899 5.986
H 0.147 3.735 5.245
H -1.120 4.238 4.129
H 0.583 4.649 2.403
H 1.870 4.566 3.630
H 1.767 2.229 3.769
H 0.061 2.185 3.278
H 0.798 1.687 1.099
H 1.569 3.265 1.097
H 3.449 1.776 2.491
H 3.457 2.122 0.729
H 1.890 -0.192 1.836
H 3.640 -0.394 1.504
H 1.299 -0.202 -0.338
H 2.639 0.845 -0.832
H 3.034 -2.102 -0.196
H 4.105 -1.029 -1.078
H 2.180 -0.799 -2.824
H 1.484 -2.232 -1.952
H 3.647 -3.662 -2.347
H 4.515 -2.116 -3.232
H 0.850 -3.651 -3.706
H -0.037 -4.546 -5.771
H 3.560 -3.933 -7.678
H 4.579 -3.005 -5.661
Cl 2.068 -6.279 -3.964
C 2.311 -8.032 -3.727
C 2.873 -8.376 -2.371
Cl 4.564 -7.835 -2.183
H 2.959 -8.386 -4.526
H 1.333 -8.498 -3.842
H 2.871 -9.457 -2.234
H 2.287 -7.926 -1.574
Cl -0.191 8.553 9.843
C 0.251 6.934 9.239
C 1.743 6.729 9.194
Cl 2.518 7.736 7.947
H -0.194 6.813 8.253
H -0.198 6.208 9.915
H 1.960 5.691 8.946
H 2.207 6.962 10.149
Cl 0.597 -10.052 0.188
C -0.893 -9.179 0.641
C -1.418 -8.332 -0.487
Cl -0.363 -6.943 -0.842
H -0.675 -8.581 1.522
H -1.629 -9.935 0.907
H -2.394 -7.931 -0.215
H -1.524 -8.914 -1.399
Cl -0.736 -9.302 -9.544
C -0.692 -7.775 -8.609
C 0.687 -7.430 -8.121
Cl 1.263 -8.554 -6.862
H -1.390 -7.876 -7.782
H -1.048 -6.990 -9.273
H 0.689 -6.433 -7.675
H 1.413 -7.439 -8.930
Cl -2.189 -12.999 2.182
C -2.872 -13.835 0.763
C -2.459 -13.183 -0.530
Cl -3.199 -11.574 -0.730
H -3.954 -13.849 0.873
H -2.505 -14.860 0.788
H -2.786 -13.792 -1.371
H -1.380 -13.061 -0.588
Cl -1.172 -0.373 -3.697
C -1.659 1.261 -3.181
C -0.551 2.268 -3.335
Cl 0.772 1.978 -2.180
H -1.985 1.200 -2.144
H -2.509 1.561 -3.792
H -0.941 3.265 -3.130
H -0.136 2.257 -4.340
Cl -2.355 5.086 1.391
C -3.933 5.856 1.691
C -4.402 6.666 0.511
Cl -3.399 8.119 0.256
H -3.840 6.472 2.584
H -4.644 5.057 1.894
H -5.421 7.009 0.685
H -4.383 6.080 -0.405
Cl -6.794 3.950 -1.306
C -6.653 2.289 -1.946
C -5.230 1.925 -2.276
Cl -4.606 2.837 -3.674
H -7.295 2.214 -2.820
H -7.031 1.619 -1.176
H -5.171 0.869 -2.535
H -4.567 2.112 -1.434
```

Values from the calculation:
- LUMO: 1.590 eV
- HOMO level: -4.73 eV
- - -
The fact that Samaria occupied the territory between the northern Galilean and southern Judean portion of Israel only made a bad situation worse. The story of Luke 9:51–56 is typical of the lack of hospitality Jews found when traveling through Samaria. James and John, looking for vengeance, asked Jesus if they couldn’t call down fire from heaven on their enemies. In A.D. 52 a Jewish pilgrim was murdered by Samaritans and the Jews responded with a bloody vigilante raid.
From the New Testament, it is clear that the Jews saw the Samaritans as outsiders. In two New Testament accounts, however, the Samaritan turns out to be the “good guy.” In the parable of the good Samaritan, it is the Samaritan, not the Jewish priest or Levite, who demonstrates compassion (Luke 10:30–37). And in Luke 17:11–19, the only leper who returns to Jesus and gives thanks for his cleansing is a Samaritan. The power of both of these texts comes from the fact that the Jews to whom Jesus was ministering would never have expected a Samaritan to show compassion or gratitude.
It is an amazing part of the record of the New Testament that Christianity drew Jews and Samaritans together. Jesus’ gentle speech and offer of living water to the Samaritan woman in John 4 set the stage for everything that followed. He made it clear that the bankrupt Samaritan theology had to be discarded (John 4:22–23). He also made it clear, however, that the Samaritans were welcome in His kingdom. He came as the “Savior of the world” (4:42) and that meant major changes for Jews and Samaritans.
When Jesus had sent out the Twelve in Matthew 10:5, he told them to avoid the towns of Samaria. That wasn’t what he said after His crucifixion and resurrection. In that new day of salvation, Jesus said that he would send His Spirit and “you will be my witnesses in Jerusalem and in all Judea and Samaria …” (Acts 1:5–8).
Soon the apostles and others were boldly preaching the Gospel. Philip traveled to Samaria where he preached Christ and many Samaritans came to trust in Jesus and were baptized (Acts 8:4–13).
Who would have believed it? Samaritans accepting the Jewish Messiah, Jesus, the Son of David! The Jewish apostles in Jerusalem heard the news and sent Peter and John to investigate. Under the ministry of these Jewish Christians, the Samaritans received the gift of the Holy Spirit. God had held back the gift of the Spirit until Peter and John arrived. Remember, John was one of the disciples who had wanted to call down fire from heaven to destroy Samaritan villages in Luke 9:51–56. Now he was used by God to unleash the fire of God’s presence, the Holy Spirit, among the Samaritan Christians.
God had bridged the gap that no man could bridge. God had established peace: first between men and Himself and then between Jew and Samaritan.